Treasury Secretary “Hank” Paulson yesterday made it absolutely clear that he had no intention of using the authority granted to him by Congress under the $700 billion Troubled Asset Relief Program, or TARP, to purchase troubled mortgage-related assets or to provide relief to struggling homeowners facing foreclosures. The message was clear to homeowners facing foreclosure and their neighbors watching the value of their homes plummet—drop dead.
Having already spent $250 billion to recapitalize banks with no strings attached and an additional $40 billion to restructure and sweeten the now $150 billion bailout of U.S. insurance giant American International Group Inc., there remains only $60 billion available to Treasury to spend before having to go back to Congress to request the second $350 billion tranche appropriated by Congress for TARP. But Paulson told Congress none of that money will be used to purchase mortgage-related assets—despite that being the premise under which the staggering sums of money were granted.
# 1
104
Properties=species:S:1:pos:R:3:forces:R:3 method="wB97M-V/def2-TZVPD" gap_ev=6.8 e_homo_ha=-0.247 total_charge=0
Cs -0.21464 -0.59358 -2.48951 0.304 -0.100 -0.248
N 2.84771 0.07561 -0.46803 -0.054 0.028 -0.031
C 3.78242 1.10903 -0.58014 0.173 0.043 -0.055
C 5.14592 0.81034 -0.49472 -0.053 0.080 0.007
C 6.10026 1.79857 -0.66538 0.009 -0.144 0.041
C 5.71957 3.10603 -0.92078 -0.009 0.107 -0.026
C 4.37130 3.40894 -1.01676 0.127 0.120 0.029
C 3.39362 2.43448 -0.85690 0.012 -0.248 0.015
P 1.61647 2.76127 -1.02648 -0.280 0.096 -0.030
C 1.50287 4.57089 -0.82747 0.077 0.001 -0.033
C 1.34237 5.04629 0.47260 -0.011 0.037 0.010
C 1.27512 6.40791 0.72262 0.002 0.004 0.020
C 1.34993 7.30910 -0.32960 -0.008 0.044 0.016
C 1.49647 6.84574 -1.62837 0.002 0.001 -0.030
C 1.57695 5.48330 -1.87849 0.000 -0.011 0.065
C 1.35631 2.55038 -2.82950 -0.151 -0.120 0.163
C 0.07042 2.79781 -3.32149 -0.067 -0.166 0.059
C -0.26092 2.47985 -4.62825 -0.034 0.068 0.025
C 0.68604 1.89595 -5.46301 -0.003 -0.004 -0.017
C 1.96118 1.64224 -4.98219 0.040 0.018 0.019
C 2.29754 1.97346 -3.67227 0.099 -0.046 -0.095
H 3.24105 -0.75554 -0.04799 -0.012 0.003 0.009
H 1.98431 0.31282 0.01488 0.046 -0.022 0.027
H 5.44817 -0.21012 -0.28734 0.009 -0.014 -0.003
H 7.15025 1.54535 -0.58865 -0.006 -0.016 0.003
H 6.46248 3.88237 -1.04459 -0.001 -0.004 -0.002
H 4.07296 4.43152 -1.21606 -0.033 -0.024 -0.002
H 1.26747 4.34265 1.29436 -0.004 -0.011 0.002
H 1.15300 6.76555 1.73676 0.000 -0.002 0.002
H 1.28769 8.37242 -0.13735 0.000 0.000 -0.001
H 1.55206 7.54690 -2.45129 -0.001 0.000 0.000
H 1.69674 5.13252 -2.89559 0.007 -0.019 -0.005
H -0.69658 3.17768 -2.65385 0.027 0.100 -0.035
H -1.26604 2.66605 -4.98450 0.006 0.007 -0.020
H 0.42363 1.63529 -6.48021 0.013 -0.003 -0.004
H 2.70165 1.18070 -5.62318 0.002 0.014 -0.011
H 3.29545 1.76628 -3.30254 -0.027 -0.005 -0.027
C -4.41317 0.11696 4.35000 -0.030 0.005 0.020
C -3.80204 -0.07829 2.98907 0.040 -0.005 -0.105
C -4.43066 0.35884 1.83581 0.096 -0.049 0.002
C -3.88462 0.20174 0.55090 -0.002 -0.031 0.042
C -4.54254 0.77585 -0.63847 0.300 -0.105 -0.095
O -3.92477 1.13819 -1.63009 -0.137 0.034 0.187
C -6.03525 0.92428 -0.63303 -0.128 0.161 -0.126
C -6.58423 2.02468 -1.28856 0.010 -0.069 0.045
C -7.95720 2.18736 -1.35466 0.005 0.042 -0.019
C -8.79554 1.23581 -0.78943 -0.044 -0.036 0.014
C -8.25586 0.12699 -0.15428 -0.009 0.002 -0.002
C -6.87892 -0.02428 -0.06796 -0.036 -0.025 0.038
C -2.63382 -0.46116 0.40847 0.075 -0.141 0.282
O -2.05939 -0.75741 -0.68410 -0.271 0.278 -0.298
C -1.96872 -0.85060 1.61618 -0.051 0.029 0.157
C -2.53663 -0.67559 2.85417 -0.107 0.047 -0.048
C -0.55514 -1.25449 1.37257 0.087 -0.087 -0.170
N 0.43041 -0.49090 1.61827 0.091 -0.021 0.026
C 0.27203 0.79993 2.25011 -0.050 0.000 0.034
C 1.52595 1.12540 3.03791 -0.024 0.174 0.072
Te 1.86974 -0.18163 4.69728 -0.006 -0.009 -0.029
C 2.63218 -1.78468 3.55729 0.084 0.105 0.014
C 2.09989 -3.05525 3.71797 -0.066 0.003 0.064
C 2.63244 -4.13096 3.02240 -0.041 -0.126 -0.027
Paulson was quite open in his about-face: “In crafting the financial rescue package, we and the Congress agreed that Treasury would use its leverage as a major purchaser of troubled mortgages to work with servicers and achieve more aggressive mortgage modification standards. Now that we are not planning to purchase illiquid mortgage assets, we must find another way to meet that commitment.”
Translation: Having foreclosed making an investment in mortgages for the purpose of restructuring them, we now need to scramble to find an alternative.
The Center for American Progress has long advocated for the transfer of troubled mortgages out of the hands of the current holders of these assets because they are either unable or unwilling to modify the loans so that families can pay their mortgages, shifting these mortgages into the hands of an entity able and willing to make the necessary modifications to provide benefits to homeowners and investors alike. With simple modifications to the so-called Real Estate Mortgage Investment Conduit, or REMIC rules, barriers to participation by mortgage servicers in mortgage restructurings would be eliminated, and Treasury could purchase the mortgages.
The discount at which mortgage-backed securities are currently valued in the secondary market by institutional investors provides ample room for modifications to be made while still offering Treasury—and by extension the taxpayers—a reasonable return on these investments. But given that Treasury is not using the money to deal with the housing crisis, what are they going to use the money for?
“With the Federal Reserve we are exploring the development of a potential liquidity facility for highly-rated AAA asset-backed securities,” Paulson said in his remarks. “We are looking at ways to possibly use the TARP to encourage private investors to come back to this troubled market, by providing them access to federal financing while protecting the taxpayers’ investment. By doing so, we can lower costs and increase credit availability for consumers.”
It remains to be seen how the liquidity facility will work for these AAA-rated securities. Even if we assume that the AAA-rating has any real meaning—remember how well the credit-rating agencies performed their “due diligence” in the run up to this crisis—what makes credit card-backed securities or securitized auto loans or college loans any easier to evaluate and price than mortgage-backed securities?
Let’s cut to the heart of the anything-but-mortgages approach. Paulson wants to help the auto lenders, education lenders, and credit card issuers, all of whom are suffering from the same sort of liquidity crisis that froze interbank lending earlier this year. Leaving aside the auto lenders (despite nearly doubling interest rates for new car loans between July and September, dollar volume fell less than 8 percent) and the education lenders (the Department of Education has already stepped in to lend directly to students and announced last week it will purchase securitized student loans going back to 2003), there are three main problems with the credit card securities plan.
First, the top credit card issuers are JPMorgan Chase & Co., Bank of America, Citigroup inc., and American Express. The top three issuers have all been given capital infusions through TARP already, and American Express recently (and hastily) converted to bank holding status, making it eligible for capital infusion under the existing infusion program. These and other major credit card issuers are already enrolled in the financial rescue package, and yet have done little with the Treasury funds but bolster their balance sheets.
Second, as a matter of public policy, it is certainly questionable to promote increased lending for credit cards. Outstanding revolving consumer debt is approaching a trillion dollars. Encouraging further household indebtedness is hardly responsible.
Third, making more money available to credit card issuers isn’t going to convince them to lend more, as we’ve seen to date with the bank recapitalization effort. In the second quarter, lenders charged off 5.5 percent of their outstanding credit card loans, which represents a 77.4 percent increase over the first quarter of 2006.
In fact, it stands to reason that credit card issuers will be even less willing to lend than mortgage lenders, as credit card debt is unsecured. At least the mortgage lenders’ debt is tied to the houses.
Which brings us back to where we started—the housing crisis. The solution is simple: Focus on the mortgages. Gain access to home mortgages and restructure them. Now.
Andrew Jakabovics is Associate Director of the Center’s Economic Mobility Program. To read our analysis and recommendations for solving the U.S. mortgage crisis and global credit crisis go to the Housing page of our website.